/*
1.
Here is a geometry-optimized In2AgSe3I structure from the Materials Project database. Energies are from PBE.

Output
For the calculated total energy, the calculation gives -47.00 eV/cell. As for the crystal system: monoclinic. The value obtained for the energy above the most stable polymorph in this dataset is 0 kJ/mol of formula units.

Unit cell a=14.209 b=4.233 c=7.723 alpha=90.00 beta=98.83 gamma=90.00
Space group Cm (No. 8)
Unique sites:
In 0.000 0.000 0.000
In 0.248 0.000 0.758
Ag 0.004 0.500 0.488
Se 0.061 0.000 0.692
Se 0.064 0.500 0.180
Se 0.308 0.500 0.954
I 0.299 0.000 0.428

=====

2.
Here is a geometry-optimized CeMg6Al structure from the Materials Project database. Energies are from PBE.

Output
For the calculated total energy, the calculation gives -19.20 eV/cell. As for the crystal system: monoclinic. The value obtained for the energy above the most stable polymorph in this dataset is 0 kJ/mol of formula units.

Unit cell a=6.360 b=4.893 c=6.609 alpha=90.00 beta=109.36 gamma=90.00
Space group Pm (No. 6)
Unique sites:
Ce 0.000 0.000 0.000
Mg 0.029 0.000 0.495
Mg 0.192 0.500 0.773
Mg 0.476 0.000 0.895
Mg 0.510 0.000 0.414
Mg 0.676 0.500 0.701
Mg 0.702 0.500 0.199
Al 0.229 0.500 0.289

=====

3.
Here is a geometry-optimized Nb4Al5Co3 structure from the Materials Project database. Energies are from PBE.

Output
For the calculated total energy, the calculation gives -84.30 eV/cell. As for the crystal system: hexagonal.

Unit cell a=5.0505 b=5.0505 c=7.9911 alpha=90.00 beta=90.00 gamma=120.00
Space group P-6m2 (No. 187)
Unique sites:
Nb 0.0000 0.0000 0.1735
Nb 0.3333 0.6667 0.2988
Al 0.3274 0.1637 0.5000
Al 0.6667 0.3333 0.2242
Co 0.0195 0.5097 0.0000

=====

4.
Here is a geometry-optimized H9PbC3I structure from the Materials Project database. Energies are from PBE.

Output
For the calculated total energy, the calculation gives -257.71 eV/cell. As for the crystal system: orthorhombic.

Unit cell a=6.701 b=10.594 c=11.541 alpha=90.00 beta=90.00 gamma=90.00
Space group P2_12_12_1 (No. 19)
Unique sites:
H 0.057 0.024 0.445
H 0.077 0.219 0.021
H 0.122 0.339 0.680
H 0.136 0.230 0.800
H 0.190 0.176 0.655
H 0.195 0.838 0.585
H 0.214 0.887 0.933
H 0.239 0.984 0.335
H 0.242 0.327 0.096
Pb 0.021 0.193 0.261
C 0.171 0.060 0.386
C 0.184 0.231 0.092
C 0.197 0.256 0.715
I 0.179 0.436 0.379

=====

5.
Here is a geometry-optimized Nb12IrAu3 structure from the Materials Project database. Energies are from PBE.

Output
For the calculated total energy, the calculation gives -142.40 eV/cell. As for the crystal system: orthorhombic.

Unit cell a=5.223 b=5.239 c=10.490 alpha=90.00 beta=90.00 gamma=90.00
Space group Pmmm (No. 47)
Unique sites:
Nb 0.000 0.000 0.122
Nb 0.000 0.000 0.374
Nb 0.249 0.500 0.500
Nb 0.255 0.500 0.000
Nb 0.500 0.246 0.248
Ir 0.500 0.000 0.000
Au 0.000 0.500 0.249
Au 0.500 0.000 0.500

=====

6.
Here is a geometry-optimized NaBeO3 structure from the Materials Project database. Energies are from PBE.

Output
For the calculated total energy, the calculation gives -24.49 eV/cell. As for the crystal system: cubic.

Unit cell a=3.589 b=3.589 c=3.589 alpha=90.00 beta=90.00 gamma=90.00
Space group Pm-3m (No. 221)
Unique sites:
Na 0.000 0.000 0.000
Be 0.500 0.500 0.500
O 0.000 0.500 0.500

=====

7.
Here is a geometry-optimized Zr2CuGe4 structure from the Materials Project database. Energies are from PBE.

Output
For the calculated total energy, the calculation gives -172.29 eV/cell. As for the crystal system: orthorhombic.

Unit cell a=3.837 b=33.559 c=3.812 alpha=90.00 beta=90.00 gamma=90.00
Space group Cmcm (No. 63)
Unique sites:
Zr 0.000 0.047 0.250
Zr 0.000 0.322 0.250
Cu 0.000 0.250 0.750
Ge 0.000 0.113 0.750
Ge 0.000 0.202 0.250
Ge 0.000 0.387 0.750
Ge 0.000 0.473 0.250

=====

8.
Here is a geometry-optimized MgCu2Sb4O12 structure from the Materials Project database. Energies are from PBE.

Output
*/

Please reproduce the data further above verbatim.

1.
Here is a geometry-optimized In2AgSe3I structure from the Materials Project database. Energies are from PBE.

Output
For the calculated total energy, the calculation gives -47.00 eV/cell. As for the crystal system: monoclinic. The value obtained for the energy above the most stable polymorph in this dataset is 0 kJ/mol of formula units.

Unit cell a=14.209 b=4.233 c=7.723 alpha=90.00 beta=98.83 gamma=90.00
Space group Cm (No. 8)
Unique sites:
In 0.000 0.000 0.000
In 0.248 0.000 0.758
Ag 0.004 0.500 0.488
Se 0.061 0.000 0.692
Se 0.064 0.500 0.180
Se 0.308 0.500 0.954
I 0.299 0.000 0.428

=====

2.
Here is a geometry-optimized CeMg6Al structure from the Materials Project database. Energies are from PBE.

Output
For the calculated total energy, the calculation gives -19.20 eV/cell. As for the crystal system: monoclinic. The value obtained for the energy above the most stable polymorph in this dataset is 0 kJ/mol of formula units.

Unit cell a=6.360 b=4.893 c=6.609 alpha=90.00 beta=109.36 gamma=90.00
Space group Pm (No. 6)
Unique sites:
Ce 0.000 0.000 0.000
Mg 0.029 0.000 0.495
Mg 0.192 0.500 0.773
Mg 0.476 0.000 0.895
Mg 0.510 0.000 0.414
Mg 0.676 0.500 0.701
Mg 0.702 0.500 0.199
Al 0.229 0.500 0.289

=====

3.
Here is a geometry-optimized Nb4Al5Co3 structure from the Materials Project database. Energies are from PBE.

Output
For the calculated total energy, the calculation gives -84.30 eV/cell. As for the crystal system: hexagonal.

Unit cell a=5.0505 b=5.0505 c=7.9911 alpha=90.00 beta=90.00 gamma=120.00
Space group P-6m2 (No. 187)
Unique sites:
Nb 0.0000 0.0000 0.1735
Nb 0.3333 0.6667 0.2988
Al 0.3274 0.1637 0.5000
Al 0.6667 0.3333 0.2242
Co 0.0195 0.5097 0.0000

=====

4.
Here is a geometry-optimized H9PbC3I structure from the Materials Project database. Energies are from PBE.

Output
For the calculated total energy, the calculation gives -257.71 eV/cell. As for the crystal system: orthorhombic.

Unit cell a=6.701 b=10.594 c=11.541 alpha=90.00 beta=90.00 gamma=90.00
Space group P2_12_12_1 (No. 19)
Unique sites:
H 0.057 0.024 0.445
H 0.077 0.219 0.021
H 0.122 0.339 0.680
H 0.136 0.230 0.800
H 0.190 0.176 0.655
H 0.195 0.838 0.585
H 0.214 0.887 0.933
H 0.239 0.984 0.335
H 0.242 0.327 0.096
Pb 0.021 0.193 0.261
C 0.171 0.060 0.386
C 0.184 0.231 0.092
C 0.197 0.256 0.715
I 0.179 0.436 0.379

=====

5.
Here is a geometry-optimized Nb12IrAu3 structure from the Materials Project database. Energies are from PBE.

Output
For the calculated total energy, the calculation gives -142.40 eV/cell. As for the crystal system: orthorhombic.

Unit cell a=5.223 b=5.239 c=10.490 alpha=90.00 beta=90.00 gamma=90.00
Space group Pmmm (No. 47)
Unique sites:
Nb 0.000 0.000 0.122
Nb 0.000 0.000 0.374
Nb 0.249 0.500 0.500
Nb 0.255 0.500 0.000
Nb 0.500 0.246 0.248
Ir 0.500 0.000 0.000
Au 0.000 0.500 0.249
Au 0.500 0.000 0.500

=====

6.
Here is a geometry-optimized NaBeO3 structure from the Materials Project database. Energies are from PBE.

Output
For the calculated total energy, the calculation gives -24.49 eV/cell. As for the crystal system: cubic.

Unit cell a=3.589 b=3.589 c=3.589 alpha=90.00 beta=90.00 gamma=90.00
Space group Pm-3m (No. 221)
Unique sites:
Na 0.000 0.000 0.000
Be 0.500 0.500 0.500
O 0.000 0.500 0.500

=====

7.
Here is a geometry-optimized Zr2CuGe4 structure from the Materials Project database. Energies are from PBE.

Output
For the calculated total energy, the calculation gives -172.29 eV/cell. As for the crystal system: orthorhombic.

Unit cell a=3.837 b=33.559 c=3.812 alpha=90.00 beta=90.00 gamma=90.00
Space group Cmcm (No. 63)
Unique sites:
Zr 0.000 0.047 0.250
Zr 0.000 0.322 0.250
Cu 0.000 0.250 0.750
Ge 0.000 0.113 0.750
Ge 0.000 0.202 0.250
Ge 0.000 0.387 0.750
Ge 0.000 0.473 0.250

=====

8.
Here is a geometry-optimized MgCu2Sb4O12 structure from the Materials Project database. Energies are from PBE.

Output